_Wanted_
Please filter the notes below: keep the lines with the word "SG".
_Listing_
+++
(w)
Mg6TiVO8 after structural relaxation, computed with GGA+U.

Lattice parameters (Å, degrees): 8.6635 4.3053 4.3053 90.00 90.00 90.00
Last column: nearest neighbours and their distance in Å.
Fractional positions:
Mg (0.0000, 0.5000, 0.5000)  6 O 2.15-2.17
Mg (0.5000, 0.5000, 0.5000)  6 O 2.15-2.16
Mg (0.2490, 0.0000, 0.5000)  6 O 2.15-2.17
Mg (0.7510, 0.0000, 0.5000)  6 O 2.15-2.17
Mg (0.2490, 0.5000, 0.0000)  6 O 2.15-2.17
Mg (0.7510, 0.5000, 0.0000)  6 O 2.15-2.17
Ti (0.5000, 0.0000, 0.0000)  6 O 2.15-2.17
V (0.0000, 0.0000, 0.0000)  6 O 2.15-2.16
O (0.2490, 0.0000, 0.0000)  4 Mg 2.15, 1 V 2.16, 1 Ti 2.17
O (0.7510, 0.0000, 0.0000)  4 Mg 2.15, 1 V 2.16, 1 Ti 2.17
O (0.2502, 0.5000, 0.5000)  6 Mg 2.15-2.17
O (0.7498, 0.5000, 0.5000)  6 Mg 2.15-2.17
O (0.0000, 0.0000, 0.5000)  4 Mg 2.15-2.16, 2 V 2.15
O (0.5000, 0.0000, 0.5000)  4 Mg 2.15-2.17, 2 Ti 2.15
O (0.0000, 0.5000, 0.0000)  4 Mg 2.15-2.16, 2 V 2.15
O (0.5000, 0.5000, 0.0000)  4 Mg 2.15-2.17, 2 Ti 2.15

Total magnetization: 4.96 μB per formula unit
SG: P4/mmm (123)

=====

(x)
Mg6TiVO8 after structural relaxation, computed with GGA+U.

Lattice parameters (Å, degrees): 8.6379 4.2880 4.2880 90.00 90.00 90.00
Last column: nearest neighbours and their distance in Å.
Fractional positions:
Mg (0.5000, 0.0000, 0.0000)  6 O 2.12-2.14
Mg (0.5000, 0.5000, 0.5000)  6 O 2.11-2.14
Mg (0.2520, 0.0000, 0.5000)  6 O 2.14-2.18
Mg (0.7480, 0.0000, 0.5000)  6 O 2.14-2.18
Mg (0.2520, 0.5000, 0.0000)  6 O 2.14-2.18
Mg (0.7480, 0.5000, 0.0000)  6 O 2.14-2.18
Ti (0.0000, 0.5000, 0.5000)  6 O 2.14-2.21
V (0.0000, 0.0000, 0.0000)  6 O 2.14-2.20
O (0.2550, 0.0000, 0.0000)  5 Mg 2.12-2.14, 1 V 2.20
O (0.7450, 0.0000, 0.0000)  5 Mg 2.12-2.14, 1 V 2.20
O (0.2556, 0.5000, 0.5000)  5 Mg 2.11-2.14, 1 Ti 2.21
O (0.7444, 0.5000, 0.5000)  5 Mg 2.11-2.14, 1 Ti 2.21
O (0.0000, 0.0000, 0.5000)  2 Ti 2.14, 2 V 2.14, 2 Mg 2.18
O (0.5000, 0.0000, 0.5000)  6 Mg 2.14
O (0.0000, 0.5000, 0.0000)  2 Ti 2.14, 2 V 2.14, 2 Mg 2.18
O (0.5000, 0.5000, 0.0000)  6 Mg 2.14

Total magnetization: 1.00 μB per formula unit
SG: P4/mmm (123)

=====

The most stable arrangement is (x), and the next structure is 0.029 eV/atom less stable.

=====

(w)
Mg2V3O8 after structural relaxation, computed with GGA+U.

Lattice parameters (Å, degrees): 5.9957 8.8599 6.4755 95.02 117.58 70.22
Last column: nearest neighbours and their distance in Å.
Fractional positions:
Mg (0.8280, 0.8968, 0.5527)  6 O 2.06-2.24
Mg (0.3281, 0.3969, 0.0530)  6 O 2.06-2.24
Mg (0.1720, 0.1031, 0.4470)  6 O 2.06-2.24
Mg (0.6721, 0.6032, 0.9473)  6 O 2.06-2.24
V (0.7497, 0.2500, 0.7500)  6 O 1.87-2.01
V (0.2717, 0.0001, 0.9999)  4 O 1.89-1.90
V (0.7720, 0.4998, 0.5001)  4 O 1.89-1.90
V (0.2497, 0.7500, 0.2500)  6 O 1.87-2.01
V (0.2281, 0.4998, 0.5002)  4 O 1.89-1.90
V (0.7278, 0.0002, 0.9998)  4 O 1.89-1.90
O (0.0435, 0.3504, 0.4376)  2 V 1.90, 1 Mg 2.06
O (0.5433, 0.8506, 0.9373)  2 V 1.90, 1 Mg 2.06
O (0.9565, 0.6494, 0.5627)  2 V 1.90, 1 Mg 2.06
O (0.4563, 0.1496, 0.0624)  2 V 1.90, 1 Mg 2.06
O (0.5489, 0.3449, 0.4428)  1 V 1.87
O (0.0488, 0.8450, 0.9427)  1 V 1.87
O (0.4511, 0.6550, 0.5573)  1 V 1.87
O (0.9510, 0.1551, 0.0573)  1 V 1.87
O (0.4224, 0.9199, 0.3142)  2 V 1.89-2.01
O (0.9226, 0.4198, 0.8144)  2 V 1.89-2.01
O (0.9721, 0.9198, 0.3140)  2 V 1.89-2.01
O (0.4723, 0.4197, 0.8142)  2 V 1.89-2.01
O (0.0280, 0.0802, 0.6856)  2 V 1.89-2.01
O (0.5281, 0.5801, 0.1858)  2 V 1.89-2.01
O (0.5779, 0.0803, 0.6858)  2 V 1.89-2.01
O (0.0780, 0.5802, 0.1860)  2 V 1.89-2.01

Total magnetization: 1.00 μB per formula unit

=====

(x)
Mg2V3O8 after structural relaxation, computed with GGA+U.

Lattice parameters (Å, degrees): 5.9139 5.9186 9.5166 89.92 90.05 119.98
Last column: nearest neighbours and their distance in Å.
Fractional positions:
Mg (0.6672, 0.3341, 0.0218)  6 O 2.10-2.14
Mg (0.3330, 0.6659, 0.5227)  6 O 2.10-2.14
+++
_Completed_
SG: P4/mmm (123)
SG: P4/mmm (123)